== Listing ==
'''
Version 1
Density functional theory data (PBE-GGA) for MgSn3W after structural relaxation.

Results
symmetry = No. 221

a = 5.306 Å, b = 5.306 Å, c = 5.306 Å
α = 90.00°, β = 90.00°, γ = 90.00°
Element x y z (fractional)
Mg1 0.000 0.000 0.000
Sn1 0.000 0.500 0.500
Sn2 0.500 0.000 0.500
Sn3 0.500 0.500 0.000
W1 0.500 0.500 0.500

Version 2
Density functional theory data (PBE-GGA) for MgSn3W after structural relaxation.

Results
symmetry = No. 221

a = 5.249 Å, b = 5.249 Å, c = 5.249 Å
α = 90.00°, β = 90.00°, γ = 90.00°
Element x y z (fractional)
Mg1 0.000 0.000 0.000
Sn1 0.000 0.000 0.500
Sn2 0.000 0.500 0.000
Sn3 0.500 0.000 0.000
W1 0.500 0.500 0.500

Best to worst by energy: version 1, version 2.

Version 1
Density functional theory data (PBE-GGA) for MgSnW2 after structural relaxation.

Results
symmetry = No. 122

a = 6.060 Å, b = 6.060 Å, c = 6.060 Å
α = 101.59°, β = 101.59°, γ = 126.74°
Element x y z (fractional)
Mg1 0.000 0.000 0.000
Mg2 0.750 0.250 0.500
Sn1 0.250 0.750 0.500
Sn2 0.500 0.500 0.000
W1 0.146 0.125 0.521
W2 0.375 0.854 0.979
W3 0.604 0.625 0.479
W4 0.875 0.396 0.021

Version 2
Density functional theory data (PBE-GGA) for MgSnW2 after structural relaxation.

Results
symmetry = No. 225

a = 4.635 Å, b = 4.635 Å, c = 4.635 Å
α = 60.00°, β = 60.00°, γ = 60.00°
Element x y z (fractional)
Mg1 0.000 0.000 0.000
Sn1 0.500 0.500 0.500
W1 0.250 0.250 0.250
W2 0.750 0.750 0.750

Best to worst by energy: version 2, version 1.

Version 1
Density functional theory data (PBE-GGA) for YMg2Sn2 after structural relaxation.

Results
symmetry = No. 139

a = 7.285 Å, b = 7.285 Å, c = 7.285 Å
α = 144.73°, β = 144.73°, γ = 50.73°
Element x y z (fractional)
Y1 0.000 0.000 0.000
Mg1 0.250 0.750 0.500
Mg2 0.750 0.250 0.500
Sn1 0.393 0.393 0.000
Sn2 0.607 0.607 0.000

Version 2
Density functional theory data (PBE-GGA) for YMg2Sn2 after structural relaxation.

Results
symmetry = No. 127

a = 8.460 Å, b = 8.460 Å, c = 3.443 Å
α = 90.00°, β = 90.00°, γ = 90.00°
Element x y z (fractional)
Y1 0.000 0.000 0.000
Y2 0.500 0.500 0.000
Mg1 0.121 0.379 0.000
Mg2 0.379 0.879 0.000
Mg3 0.621 0.121 0.000
Mg4 0.879 0.621 0.000
Sn1 0.177 0.677 0.500
Sn2 0.323 0.177 0.500
Sn3 0.677 0.823 0.500
Sn4 0.823 0.323 0.500

Version 3
Density functional theory data (PBE-GGA) for YMg2Sn2 after structural relaxation.

Results
symmetry = No. 194

a = 4.981 Å, b = 4.981 Å, c = 12.744 Å
α = 90.00°, β = 90.00°, γ = 120.00°
Element x y z (fractional)
Y1 0.000 0.000 0.250
Y2 0.000 0.000 0.750
Mg1 0.000 0.000 0.000
Mg2 0.000 0.000 0.500
Mg3 0.333 0.667 0.250
Mg4 0.667 0.333 0.750
Sn1 0.333 0.667 0.626
Sn2 0.333 0.667 0.874
Sn3 0.667 0.333 0.126
Sn4 0.667 0.333 0.374

Version 4
Density functional theory data (PBE-GGA) for YMg2Sn2 after structural relaxation.

Results
symmetry = No. 63

a = 12.680 Å, b = 12.680 Å, c = 4.458 Å
α = 90.00°, β = 90.00°, γ = 159.92°
Element x y z (fractional)
Y1 0.152 0.848 0.750
Y2 0.848 0.152 0.250
Mg1 0.045 0.955 0.250
Mg2 0.454 0.546 0.250
Mg3 0.546 0.454 0.750
Mg4 0.955 0.045 0.750
Sn1 0.249 0.751 0.250
Sn2 0.373 0.627 0.750
Sn3 0.627 0.373 0.250
Sn4 0.751 0.249 0.750

Best to worst by energy: version 4, version 1, version 2, version 3.
'''
== To do ==
Your job: find "0.121 0.000" and "Sn4 0.751" in the contents above, and print these two lines and those between.
== Written answer ==
Mg3 0.621 0.121 0.000
Mg4 0.879 0.621 0.000
Sn1 0.177 0.677 0.500
Sn2 0.323 0.177 0.500
Sn3 0.677 0.823 0.500
Sn4 0.823 0.323 0.500

Version 3
Density functional theory data (PBE-GGA) for YMg2Sn2 after structural relaxation.

Results
symmetry = No. 194

a = 4.981 Å, b = 4.981 Å, c = 12.744 Å
α = 90.00°, β = 90.00°, γ = 120.00°
Element x y z (fractional)
Y1 0.000 0.000 0.250
Y2 0.000 0.000 0.750
Mg1 0.000 0.000 0.000
Mg2 0.000 0.000 0.500
Mg3 0.333 0.667 0.250
Mg4 0.667 0.333 0.750
Sn1 0.333 0.667 0.626
Sn2 0.333 0.667 0.874
Sn3 0.667 0.333 0.126
Sn4 0.667 0.333 0.374

Version 4
Density functional theory data (PBE-GGA) for YMg2Sn2 after structural relaxation.

Results
symmetry = No. 63

a = 12.680 Å, b = 12.680 Å, c = 4.458 Å
α = 90.00°, β = 90.00°, γ = 159.92°
Element x y z (fractional)
Y1 0.152 0.848 0.750
Y2 0.848 0.152 0.250
Mg1 0.045 0.955 0.250
Mg2 0.454 0.546 0.250
Mg3 0.546 0.454 0.750
Mg4 0.955 0.045 0.750
Sn1 0.249 0.751 0.250
Sn2 0.373 0.627 0.750
Sn3 0.627 0.373 0.250
Sn4 0.751 0.249 0.750